I told my husband, even though we haven’t seen it yet, Luke 12:2-3 MUST come to pass at some point because it’s in the word and all of God’s promises are yes and amen. His word holds the foundation of the world together.
“There is nothing concealed that will not be disclosed, or hidden that will not be made known. What you have said in the dark will be heard in the daylight, and what you have whispered in the ear in the inner rooms will be proclaimed from the roofs.”
Luke 12:2-3 NIV
Note the context of this scripture is right after Jesus warns to be on your guard against hypocrisy. We are living in the most hypocritical time of history.
That verse is saying to trust in God above all because no matter what anyone plans, it is up to God. If anything, he’s saying it was God’s Will for The Plan to fail. :/
Don’t try to reinterpret religious texts to fit your skewed narrative. It’s one thing to have faith; it’s an entirely other thing to deny reality. God gave us a brain to think with. I suggest you use yours, asshole.
“On the day when I act,” says the Lord Almighty, “they will be my treasured possession. I will spare them, just as a father has compassion and spares his son who serves him. And you will again see the distinction between the righteous and the wicked, between those who serve God and those who do not.
Malachi 3:17-18 NIV
I wouldn't know as I've only really discovered Q recently. The guys in the video seem expert at what they do, I've watched them a number of times now, and I'd say they're an excellent source of info.
My guess is that markers are not sequential. It may also be the case that they can be used multiple times to track different sets, and differentiate by context.
Also, I'm assuming it is "progress" based on the fact that it's a new message and it points to a Q post.
Thought - just spitballing here. 1921 mirror is 1291 and its rather fitting. We all anticipated very public arrests. Maybe remove arrests is remove it from our Immediate expectation At the moment.
I still believe!! And I wont stop believing till these evil people ruining kids are stopped. More people are waking up and asking questions. Just because they arent on here doesnt mean they arent. They asking trusted people they love that disagree. And getting valid answers and wondering why. As long as more people are asking questions and really starting to question what the fuck is actually going on we are winning. We just have to stand strong and prove all we can prove. Dont try to force anything on anyone. But at the same time be ready with truth. I know at least a dozen of my friends have asked questions ive given them answers and really seen them just be in shock. Still unsure what to think. But a few days later asking more questions getting more truths. We ARE WINNING. sorry for the rant ❤
Lol, which plan are we asking about? The plan to save the world? It has been in tact since the world began. The plan to save America? Just listen to President Trumps last 5 speeches, nothing has changed except the way the battlefield looks. Trump just castled, chess move. As for this tweet, I am guessing Mike Pompeo is calling out the divisiveness we witnessed with fake inauguration vs. transparency and truth. My take anyway. God Bless.
Some of us never even thought it.... most that did are still determined to listen to anyone who mentions Q ... without actually knowing anything about what Q has posted over the last three and half years...
Unpopular opinion: why should I trust Pompeo? Besides Q saying Trust Kansas?
What has he done? Besides tweeting in a predicted pattern that every one knew about?
Should I trust Wray?
How do I know Pompeo was not a sleeper, who like Wray fooled Q.
A do not follow people blindly, it took me many months for me to stop calling Q : possible insider or larper. It took proof after proof and critical thinking. Without Trump, any government official can coop this movement: just say a few bible verses and regurgitate some Q drops. The only other person I trust is Gen. Flynn because he earned it.
I really have no idea how this is all going to pan out.
Logic tells me that all those moves that were made before Trump left office weren't just 'make-busy' - they were for a reason. A reason we have yet to discover.
They can't ban someone for words that have been around for awhile. It would be interesting the reaction if they did ban him. He'll work around the rules but still say things that connect with who you are. Good or evil? Smart or stupid? Free or ...
"God wins"
I told my husband, even though we haven’t seen it yet, Luke 12:2-3 MUST come to pass at some point because it’s in the word and all of God’s promises are yes and amen. His word holds the foundation of the world together.
“There is nothing concealed that will not be disclosed, or hidden that will not be made known. What you have said in the dark will be heard in the daylight, and what you have whispered in the ear in the inner rooms will be proclaimed from the roofs.” Luke 12:2-3 NIV
Note the context of this scripture is right after Jesus warns to be on your guard against hypocrisy. We are living in the most hypocritical time of history.
That verse is saying to trust in God above all because no matter what anyone plans, it is up to God. If anything, he’s saying it was God’s Will for The Plan to fail. :/
In polish we say " a man plans, God laughs". Basically saying no plan is perfect and indeed it is up to God in the end.
You are sincerely dumb. As God never fails.
That is literally what I'm trying to say. The only person "sincerely dumb" here is you. You are a fucking retard lmfao
YES. Those words have no power here, No Fail. We already won.
Lol you’re such a faggot dude.
Don’t try to reinterpret religious texts to fit your skewed narrative. It’s one thing to have faith; it’s an entirely other thing to deny reality. God gave us a brain to think with. I suggest you use yours, asshole.
Well that's the thing—he's saying that it was God's Will for the plan to fail then because the plan was made by men...
Pompeo telling Doomer to chillTFO.
Cmon man!
Seems like the Bible is the new Q posts. And who knows the Bible?
You could always learn it.
What I meant by that is that Christians know the Bible.
Some Christians know the bible, the rest CINOs. The events that will unfold should turn people to Christ.
“On the day when I act,” says the Lord Almighty, “they will be my treasured possession. I will spare them, just as a father has compassion and spares his son who serves him. And you will again see the distinction between the righteous and the wicked, between those who serve God and those who do not. Malachi 3:17-18 NIV
Look at the power being demonstrated by the FEW who still adhere to the teachings of the Bible.
The greatest book in the history of man.
100% agree.
The Bible has always been in q posts
I do
Redpill Daily guys decoded this:
Plan is progressing nicely I'd say. Marker 1 confirmed.
The proverb is also very fitting.
I wouldn't know as I've only really discovered Q recently. The guys in the video seem expert at what they do, I've watched them a number of times now, and I'd say they're an excellent source of info.
My guess is that markers are not sequential. It may also be the case that they can be used multiple times to track different sets, and differentiate by context.
Also, I'm assuming it is "progress" based on the fact that it's a new message and it points to a Q post.
does he have a new social media ?
twitter @mikepompeo
ah nice thanks !
Thought - just spitballing here. 1921 mirror is 1291 and its rather fitting. We all anticipated very public arrests. Maybe remove arrests is remove it from our Immediate expectation At the moment.
Ps- when Do i get to be a fist bump instead of a dam handshake?
Just keep contributing and it will be gone before you know it.
Probably harder now than a few weeks ago due to the influx of imbeciles, but you'll get there.
Thank you
I still believe!! And I wont stop believing till these evil people ruining kids are stopped. More people are waking up and asking questions. Just because they arent on here doesnt mean they arent. They asking trusted people they love that disagree. And getting valid answers and wondering why. As long as more people are asking questions and really starting to question what the fuck is actually going on we are winning. We just have to stand strong and prove all we can prove. Dont try to force anything on anyone. But at the same time be ready with truth. I know at least a dozen of my friends have asked questions ive given them answers and really seen them just be in shock. Still unsure what to think. But a few days later asking more questions getting more truths. We ARE WINNING. sorry for the rant ❤
Lol, which plan are we asking about? The plan to save the world? It has been in tact since the world began. The plan to save America? Just listen to President Trumps last 5 speeches, nothing has changed except the way the battlefield looks. Trump just castled, chess move. As for this tweet, I am guessing Mike Pompeo is calling out the divisiveness we witnessed with fake inauguration vs. transparency and truth. My take anyway. God Bless.
Who’s this ‘We’ mate..?
Some of us never even thought it.... most that did are still determined to listen to anyone who mentions Q ... without actually knowing anything about what Q has posted over the last three and half years...
Ok, obviously I should have been a lot more pedantic with my summary headline.
These bible verses are too vague and really confuse me
post 1921 talks about podesta
q also says podesta is the first arrest
Be aware Podesta might not be a name.
Podesta, Italian Podestà, or Potestà, (“power”), in medieval Italian communes, the highest judicial and military magistrate.
Chief Justice Roberts?
Unpopular opinion: why should I trust Pompeo? Besides Q saying Trust Kansas? What has he done? Besides tweeting in a predicted pattern that every one knew about? Should I trust Wray? How do I know Pompeo was not a sleeper, who like Wray fooled Q.
A do not follow people blindly, it took me many months for me to stop calling Q : possible insider or larper. It took proof after proof and critical thinking. Without Trump, any government official can coop this movement: just say a few bible verses and regurgitate some Q drops. The only other person I trust is Gen. Flynn because he earned it.
It's a fair point
**Someone pasted materials data at this point**
~~~
1.
# InNiTeAuS2
Calculated powder XRD pattern, Cu Kα X-rays. Input: a crystal structure in OQMD, relaxed with GGA-PBE.
Intensities are scaled so that the largest is 100.

Main lines, low angle first (2θ = 10–90°):
Position (°2θ)  d (Å)  Rel. int.
14.79  5.989  22
17.06  5.199  97
31.94  2.802  100
33.11  2.706  52
34.50  2.599  61
36.42  2.467  50
37.84  2.378  47
41.45  2.179  28
45.42  1.997  28
47.72  1.906  62

Crystal structure
```
InNiTeAuS2
1.0
1.7106 -7.3271 0.0000
1.7106 7.3271 0.0000
0.0000 0.0000 10.3976
In Ni Te Au S
2 2 2 2 4
Cartesian
1.7106 4.3078 7.7982
1.7106 -4.3078 2.5994
1.7106 0.0000 0.0000
1.7106 0.0000 5.1988
1.7106 0.4804 2.5994
1.7106 -0.4804 7.7982
1.7106 5.2502 2.5994
1.7106 -5.2502 7.7982
1.7106 5.7983 0.1814
1.7106 5.7983 5.0174
1.7106 -5.7983 5.3802
1.7106 -5.7983 10.2162
```



2.
# InNiTe2AuSe
Calculated powder XRD pattern, Cu Kα X-rays. Input: a crystal structure in OQMD, relaxed with GGA-PBE.
Intensities are scaled so that the largest is 100.

Main lines, low angle first (2θ = 10–90°):
Position (°2θ)  d (Å)  Rel. int.
20.86  4.259  12
23.78  3.741  17
28.05  3.181  13
31.09  2.876  100
31.20  2.866  60
44.63  2.030  70
45.36  1.999  16
46.40  1.957  25
56.97  1.616  21
73.88  1.283  13

Crystal structure
```
InNiTe2AuSe
1.0
1.9573 -6.3614 0.0000
1.9573 6.3614 0.0000
0.0000 0.0000 11.4659
In Ni Te Au Se
2 2 4 2 2
Cartesian
1.9573 4.0376 8.5994
1.9573 -4.0376 2.8665
1.9573 0.0000 0.0000
1.9573 0.0000 5.7329
1.9573 4.7374 0.1837
1.9573 4.7374 5.5492
1.9573 -4.7374 5.9167
1.9573 -4.7374 11.2821
1.9573 4.3931 2.8665
1.9573 -4.3931 8.5994
1.9573 0.3192 2.8665
1.9573 -0.3192 8.5994
```



3.
# Sr2In4NiAu
Calculated powder XRD pattern, Cu Kα X-rays. Input: a crystal structure in OQMD, relaxed with GGA-PBE.
Intensities are scaled so that the largest is 100.

Main lines, low angle first (2θ = 10–90°):
Position (°2θ)  d (Å)  Rel. int.
15.77  5.619  32
31.01  2.884  100
33.05  2.711  56
33.84  2.649  32
37.52  2.397  17
38.57  2.334  36
39.27  2.294  22
39.92  2.258  36
40.26  2.240  43
53.30  1.719  17

Crystal structure
```
Sr2In4NiAu
1.0
7.9505 0.0000 0.0000
0.0000 2.2584 5.6188
0.0000 -2.2584 5.6188
Sr In Ni Au
2 4 1 1
Cartesian
0.0000 0.0000 0.0000
3.9752 0.0000 1.3486
1.6746 0.0000 8.0321
2.4999 0.0000 4.6239
5.4505 0.0000 4.6239
6.2759 0.0000 8.0321
3.9752 0.0000 9.4713
0.0000 0.0000 3.1821
```



4.
# TbTm2In3Ni2Au
Calculated powder XRD pattern, Cu Kα X-rays. Input: a crystal structure in OQMD, relaxed with GGA-PBE.
Intensities are scaled so that the largest is 100.

Main lines, low angle first (2θ = 10–90°):
Position (°2θ)  d (Å)  Rel. int.
27.51  3.242  24
33.17  2.701  98
36.03  2.493  100
36.67  2.451  36
41.79  2.161  43
43.62  2.075  23
46.58  1.950  25
60.69  1.526  16
64.35  1.448  23
67.38  1.390  35

Crystal structure
```
TbTm2In3Ni2Au
1.0
3.8998 0.0000 0.0000
0.0000 6.4881 3.7410
0.0000 -6.4881 3.7410
Tb Tm In Ni Au
1 2 3 2 1
Cartesian
0.0000 0.0000 0.0000
0.0000 -2.6537 4.5832
0.0000 2.6537 4.5832
~~~
i agree with this. he knows what we are thinking and he knows this message would let us know that the plan is still on course ...march 4th?
I really have no idea how this is all going to pan out.
Logic tells me that all those moves that were made before Trump left office weren't just 'make-busy' - they were for a reason. A reason we have yet to discover.
It's the ORIGINAL inaugural date based on the ORIGINAL US Constitution..
why is he still on twitter? need him to make a gab asap
I agree it doesn't look promising, it's difficult to extract meaning from these posts without imposing our own bias.
They can't ban someone for words that have been around for awhile. It would be interesting the reaction if they did ban him. He'll work around the rules but still say things that connect with who you are. Good or evil? Smart or stupid? Free or ...
It didn’t workout as planned but it’s not over.
Don't forget what's at stake.
I grieve for the losses on both sides but make no mistake, this is a war for all the marbles.
Only those who put dates and times on the plan are pissed off. Veteran Anons know it's about events and happenings.
I get that, but can you deny there are a lot of new people here who jumped the gun?
You know very well that was who it was intended for, especially since you are implying you have veteran comprehension skills.
Bible also says we reach a really bad point of what looks a lot like globalism before it all burns up, soooooo
He's saying that they had some ideas of plans to keep in power (nothing to do with Q though) but these plans failed one after the other.
Don't look for anything beyond that.
And please don't look for Q#1921. Completely unrelated.
I'm looking at real world events to be honest.
Any Q related links might be interesting, but I'm in no way assuming I am able to interpret Q drops with sufficient prescience.
Drop 1005
I said this.
Thanks for putting more eyes on the idea.
The shills were adamant that he meant "its over, go home! It didn't work!"
Come on, people.
I think he’s saying God wanted Biden as President.
stop dooming jeff sessions will switfly arrest biden in the white house bathroom while he is taking a shit
Sessions started the ball rolling for the arrest of Epstein.
wow you people are the clowns you say the left are
"You people"...painting with a broad brush, aren't you???
Get lost...no one cares what you think or have to say on here.
You are the larp pretending you have something to contribute.